Now copy the part of the rows further down that starts with the line with "1.734 0.082" and stops after the one with "3.590".

- - -
Entry from the Open Molecules 2025 dataset: a structure of composition CH5N2O2 (the ωB97M-V functional and the def2-TZVPD basis).

Calculated values
Charge: -1
E_LUMO (spin up / spin down) (Eh): 0.1768 / 0.1551
Gap between HOMO and LUMO (spin up / spin down) (eV): 5.0 / 7.4
⟨S²⟩: 2.009
Energy above the lowest of the compared OMol25 structures with the same formula, charge and spin (kJ/mol): 84.1
E_HOMO (spin up / spin down) (eV): -0.22 / -3.19
Multiplicity: 3

The geometry in XYZ format:
```
10
CH5N2O2 | the Open Molecules 2025 dataset | the ωB97M-V functional and the def2-TZVPD basis
C 1.170 -0.458 0.394
N -2.115 0.780 -0.127
N -1.568 -0.407 0.637
O -1.479 -1.392 -0.105
O 0.135 0.249 0.910
H 1.734 0.082 -0.571
H 0.880 -1.360 -0.042
H 1.988 -0.461 1.228
H -1.762 1.528 0.312
H -1.788 0.831 -1.122
```

Results of the natural (NBO) charge analysis, in e, for atoms 1 through 6: number 1, C, carries -0.2219; number 2, N, carries -0.7616; number 3, N, carries 0.1834; number 4, O, carries -0.4986; number 5, O, carries -0.6845; number 6, H, carries 0.0519

=====

Entry from the Open Molecules 2025 dataset: a structure of composition C13H27Cl2GdN2OP2 (the ωB97M-V functional and the def2-TZVPD basis).

Calculated values
Charge: +2
E_LUMO (spin up / spin down) (Eh): -0.2294 / -0.3543
Gap between HOMO and LUMO (spin up / spin down) (eV): 9.0 / 5.6
⟨S²⟩: 16.046
E_HOMO (spin up / spin down) (eV): -15.21 / -15.20
Multiplicity: 8

The geometry in XYZ format:
```
48
C13H27Cl2GdN2OP2 | the Open Molecules 2025 dataset | the ωB97M-V functional and the def2-TZVPD basis
C 1.921 4.759 -0.446
C 1.126 3.543 -0.092
H 2.943 4.557 -0.081
H 1.461 5.586 0.137
H 1.929 5.055 -1.525
O 1.506 2.490 0.441
Cl -0.537 3.742 -0.682
Gd -1.609 -0.560 -0.537
P -2.015 0.817 2.042
C -1.381 0.076 3.590
C -1.489 2.534 2.389
H -1.893 2.896 3.349
H -3.951 1.347 3.472
H -1.825 3.188 1.581
H -4.254 1.731 1.751
H -0.313 0.304 3.676
H -0.394 2.570 2.414
C -3.798 1.010 2.440
H -1.915 0.500 4.447
H -4.282 0.036 2.312
H -1.545 -1.006 3.553
P 0.333 -0.192 -2.844
C 1.669 -1.335 -3.387
C -0.714 -0.218 -4.360
H 0.567 2.214 -3.205
H 1.801 1.283 -4.144
H 1.993 1.509 -2.383
C 1.254 1.359 -3.181
H -1.349 0.677 -4.373
H -0.135 -0.259 -5.292
H 1.949 -1.099 -4.426
H 1.280 -2.364 -3.347
H -1.333 -1.121 -4.299
H 2.564 -1.218 -2.753
Cl -3.773 -1.442 -1.285
N 2.080 -4.862 2.050
C 1.418 -3.852 1.444
C 0.007 -3.837 1.404
C -0.622 -2.772 0.760
N 0.112 -1.697 0.299
C 1.477 -1.705 0.345
C 2.154 -2.761 0.906
H 1.584 -5.647 2.450
H 3.088 -4.873 2.079
H -0.551 -4.652 1.853
H -1.729 -2.707 0.608
H 1.949 -0.833 -0.115
H 3.242 -2.770 0.964
```

Results of the Mulliken charge analysis, in e, for atoms 1 through 6: number 1, C, carries -1.1404; number 2, C, carries 0.8555; number 3, H, carries 0.3311; number 4, H, carries 0.3691; number 5, H, carries 0.3275; number 6, O, carries -0.5085
- - -

H 1.734 0.082 -0.571
H 0.880 -1.360 -0.042
H 1.988 -0.461 1.228
H -1.762 1.528 0.312
H -1.788 0.831 -1.122
```

Results of the natural (NBO) charge analysis, in e, for atoms 1 through 6: number 1, C, carries -0.2219; number 2, N, carries -0.7616; number 3, N, carries 0.1834; number 4, O, carries -0.4986; number 5, O, carries -0.6845; number 6, H, carries 0.0519

=====

Entry from the Open Molecules 2025 dataset: a structure of composition C13H27Cl2GdN2OP2 (the ωB97M-V functional and the def2-TZVPD basis).

Calculated values
Charge: +2
E_LUMO (spin up / spin down) (Eh): -0.2294 / -0.3543
Gap between HOMO and LUMO (spin up / spin down) (eV): 9.0 / 5.6
⟨S²⟩: 16.046
E_HOMO (spin up / spin down) (eV): -15.21 / -15.20
Multiplicity: 8

The geometry in XYZ format:
```
48
C13H27Cl2GdN2OP2 | the Open Molecules 2025 dataset | the ωB97M-V functional and the def2-TZVPD basis
C 1.921 4.759 -0.446
C 1.126 3.543 -0.092
H 2.943 4.557 -0.081
H 1.461 5.586 0.137
H 1.929 5.055 -1.525
O 1.506 2.490 0.441
Cl -0.537 3.742 -0.682
Gd -1.609 -0.560 -0.537
P -2.015 0.817 2.042
C -1.381 0.076 3.590